Taboo aside – cannabis is part of the world around us. While some try to ignore it, others strive to harness its many properties, even at the commercial level. Pretty unique brands have emerged in this industry in past years, even if cannabis is mostly banned around the world and probably holds a high position on the list of products that are difficult to market (mostly because of restrictions). But the “brand life” is certainly hard for them.
Nonetheless, 2019 saw the launch of Clio Cannabis Awards, which celebrates the creators at the forefront of cannabis marketing and communications. Brandingmag chose to interview one of the winners of the 2020 edition, to find out what it means to lead a renegade brand in a world of preconceptions.
Michael Stusser is an award-winning journalist and documentary filmmaker, and the host of Higher Ground, an irreverent media platform about cannabis culture. Higher Ground, along with Saints, recently won a Clio Award for their Ballot Box, a high-end package of cannabis pre-rolls that includes a QR code that registers voters, a mini version of the Bill of Rights, and non-partisan information about elections.
We sat down with Michael to talk about the serious matter of cannabis brands, in a not-so-serious way. Here’s what he has to say:
Between two parts of the entry: calculated molecules >
# 1
Molecular formula: C3H10NS
Method: DFT, ωB97M-V with the def2-TZVPD basis set

As for the frontier orbital gap: 0.248 Eh. The highest occupied orbital energy comes out at -2.84 eV. Its LUMO energy is 3.91 eV. For the energy above the lowest of the compared OMol25 structures with the same formula, charge and spin, the calculation gives 0.1 kJ/mol. The total charge is -1. The calculation puts the largest force on an atom at 0.0139 hartree/bohr.

Last column: Löwdin charge in e.
Cartesian coordinates (Å):
C (-1.030, 1.191, 1.058)  -0.108
C (-0.129, 0.228, 0.293)  -0.576
C (-0.778, -1.142, 0.166)  -0.114
N (0.103, 0.754, -1.061)  -0.023
H (-1.297, 0.786, 2.038)  0.063
H (-0.540, 2.162, 1.200)  0.062
H (-1.944, 1.375, 0.481)  0.068
H (0.823, 0.118, 0.830)  0.095
H (-0.087, -1.808, -0.348)  0.018
H (-1.016, -1.558, 1.152)  0.066
H (-1.706, -1.078, -0.414)  0.070
H (0.488, 1.692, -1.010)  0.047
H (0.881, 0.199, -1.483)  -0.071
S (2.633, -1.271, -1.025)  -0.137
H (3.600, -1.649, -1.878)  -0.461

=====

# 2
Molecular formula: C29H29BrN9O2SSiTa
Method: DFT, ωB97M-V with the def2-TZVPD basis set

As for the frontier orbital gap: 0.213 Eh. The highest occupied orbital energy comes out at -13.29 eV. Its LUMO energy is -7.49 eV. For the energy above the lowest of the compared OMol25 structures with the same formula, charge and spin, the calculation gives 235.2 kJ/mol. The total charge is +2. The calculation puts the largest force on an atom at 0.0137 hartree/bohr.

Last column: Löwdin charge in e.
Cartesian coordinates (Å):
Ta (-0.314, 0.454, 0.192)  1.597
S (-0.148, -0.208, 2.624)  0.685
C (0.215, -1.883, 2.318)  -0.763
N (0.545, -2.791, 3.304)  0.148
N (0.563, -2.388, 4.480)  0.076
C (0.835, -3.213, 5.591)  -0.204
C (0.828, -2.601, 6.840)  0.000
C (1.087, -3.371, 7.959)  -0.041
C (1.345, -4.728, 7.815)  -0.027
C (1.345, -5.325, 6.555)  -0.036
C (1.089, -4.573, 5.428)  0.006
N (0.109, -2.432, 1.146)  0.059
N (-0.299, -1.604, 0.190)  -0.247
C (-0.763, -2.231, -1.009)  -0.307
C (-1.929, -1.704, -1.551)  -0.059
C (-2.461, -2.264, -2.706)  -0.056
C (-1.850, -3.364, -3.275)  -0.053
C (-0.700, -3.905, -2.704)  -0.042
C (-0.145, -3.344, -1.567)  -0.024
H (0.354, -1.397, 4.674)  0.112
H (0.620, -1.541, 6.935)  0.124
H (1.084, -2.916, 8.939)  0.122
H (1.545, -5.330, 8.691)  0.123
H (1.543, -6.383, 6.457)  0.122
H (1.078, -5.017, 4.443)  0.120
H (-2.485, -0.927, -1.026)  0.106
H (-3.364, -1.852, -3.134)  0.122
H (-2.275, -3.820, -4.159)  0.120
H (-0.240, -4.780, -3.143)  0.119
H (0.743, -3.759, -1.111)  0.117
C (2.286, -0.477, -2.541)  -0.193
Si (0.862, 0.704, -2.283)  0.572
C (1.373, 2.509, -2.280)  -0.191
C (-0.399, 0.439, -3.627)  -0.312
C (-0.200, -0.501, -4.639)  -0.097
C (-1.111, -0.629, -5.677)  -0.067
C (-2.245, 0.171, -5.714)  -0.061
C (-2.456, 1.118, -4.721)  -0.065
C (-1.535, 1.255, -3.694)  -0.112
H (2.834, -0.182, -3.440)  0.055
H (1.927, -1.499, -2.685)  0.027
H (3.011, -0.496, -1.726)  0.007
H (1.991, 2.668, -3.169)  0.053
Back to the entry >
Brandingmag: A spin-off of our usual opening question – what does Cannabis represent to you?
Michael Stusser: Well, it’s a way of getting high! There’s no reason to shy away from that element – and cannabis is far safer than alcohol. At Higher Ground, we like to think about cannabis as “high-culture”. Sure, it’s a plant, and medicine for many, but – for us – it’s also a connector to all the great things associated with it: music, laughter, science, creativity, and yes, the munchies. Think about Bob Marley, Carl Sagan, Ilana Glazer, Shakespeare, Willie Nelson, Kareem Abdul-Jabbar, Maya Angelou, Hunter S. Thompson, and President Obama. That’s an amazing line-up!
Cannabis also represents an opportunity – to educate, explore, and make folks crack up along the way. It’s why we produce a wide variety of content. We talk to cops about legalization one day, and do a “Comedians in Cars Smoking Cannabis” parody the next. We’re also well aware of the decades of injustice involved in the War on Drugs – so we try and make sure we highlight how many individuals are still in prison for cannabis.
Bm: How about its brand? How is Cannabis perceived around the world and why?
MS: The rest of the world really doesn’t have the stigma America does about weed. (Thanks, Nancy Reagan!) I mean, the U.S. government currently categorizes marijuana the same way they do heroin and meth, so they’re a little out of touch. Until it’s legalized at the national level, we can’t do nearly as much research, testing, and development. Portugal legalized all drugs, twenty years ago. Israel is doing incredible scientific work harnessing the medicinal properties. Of course, Amsterdam and Spain have their stylish cafes. And don’t get me started on the fab Rastafarians in Jamaica! Having said that, some governments (China, North Korea) will sentence you to death if you get caught with a joint…so, there’s that.
Bm: What’s it like to manage a Cannabis brand? Is it more difficult than others?
MS: I’m having a blast hosting Higher Ground because it’s so challenging! Our slogan is: “Elevating the Dialogue on Cannabis Culture. (Kind of…)” – and the reason we state it that way is that trying to “manage” anything related to cannabis is like herding cats: ya have to maintain a sense of humor – and have lots of air fresheners handy. Given the illegality of cannabis in so many places, and the stigma around it, attaining our mission is a bit more difficult: Our Higher Ground Festival couldn’t even have plants. But that’s also a great opportunity – to use those awkward moments to explore the topic. How do we talk to our kids about cannabis? How can some people make money selling pot, and others are in prison for doing the same? And, instead of bringing a bottle of wine to a dinner party, is it cool to show up with a bouquet of Martha Stewart’s finest herb?
Bm: What are the toughest marketing and PR challenges for such an uncommon brand?
MS: The stereotypical language and images drive us a bit bonkers. We’ve banned all Cheech & Chong mentions, for example. And if we see stupid stoner behavior, we point it out. One of my favorite segments was calling out High Times for trying to set a World Record for the Biggest HotBox session. If you saw a bunch of kids trying to drink as much vodka as possible, you’d put them in jail. We are framing cannabis in a new way – elevating the dialogue. Yes, we cover what it means to be high, and the reasons we all seek an elevated state of mind, but we are also documenting and chronicling this incredible time in our history, advocating for the legalization of cannabis – along with civil rights, gay rights, and human rights.
Finally, in regard to our challenges related to language – we don’t want to get caught in the weeds regarding indicas, sativas, and terpenes. The idea is to be accessible at all times. We just shot a segment with some senior citizens who were experimenting with pot replacing pills for ailments like arthritis.
Bm: Would you consider the Cannabis industry to be highly regulated? Why so?
MS: Oh, it’s highly regulated, all right. We recently got banned from Instagram (after reaching over 200,000 followers) for a meme about legalization! So, yeah, I’d say it’s HIGHly regulated. Same arbitrary rules exist on Facebook and YouTube. In addition to cannabis being illegal in the majority of states, the rules for advertising and airing our segments are complicated. Thanks to outspoken filmmakers like Seth Rogen and Judd Apatow, and artists like Margo Price, Lady Gaga, Jay-Z, Chelsea Handler, and Jennifer Lawrence, things are moving in the right direction. Part of the reason celebs are coming around, of course, is because they’re now in the biz, hawking CBD and hemp products. (Patrick Stewart, Jim Belushi, Joe Montana, John Legend, Carlos Santana, Megan Rapinoe). We love it – as it gives us a better chance of booking Gwyneth Paltrow on a future show – hoping she doesn’t bring her egg. Regarding regulations, though, I really do think we’ll bust down the doors in due time: I mean, at one point, the networks refused to show Elvis below the waist. And today? I give you Miley Cyrus…
Bm: What do you think is more important for a Cannabis brand to have: a top brand design, a unique experience, or social good involvement?
MS: Can I choose all of the above? For Higher Ground, the projects need to be communal and uplifting. (Which, not surprisingly, is the kind of strain I like – chatty!) Our brand design and artistic execution are crucial to all our projects. Part of the reason we teamed up with Saints on our Higher Ground Ballot Box, was because they are an upscale company that shares our vision. They understand that cannabis brands – and consumers – want to do more than just get as high as possible. They want to participate in progressive action. They want organic products. They also want beautiful things. Together, we used the Ballot Box project as a platform to spark engagement, and register new voters. It also put folks in a damn good mood leading up to Election Day.
Bm: Yes, there are many challenges for a Cannabis brand, but what are the good parts unique to this particular industry?
MS: Cannabis is cool! Always has been. It’s something Bob Dylan, Morgan Freeman and Bill Gates all have in common. Maybe that’s what America can come together about in our divided times. Really, though, there is so much good about this new era of legalization – and we’re just at the beginning of the movement. It’s funny because even I am surprised by some of the positive stories I see in the news: With only five years of legal cannabis – now in 15 states (and medical use in 36 states), we have a ton of data – and it turns out weed is not a gateway: legal States haven’t seen any significant rise in marijuana use by adolescents; people in legal states are drinking less alcohol; having access to cannabis is associated with reduced opioid use and opioid-related overdose deaths; and there haven’t been increases in fatal motor-vehicle crashes or fatalities in the States that have legalized it. So we’re turning Reefer Madness…into Reefer Gladness! Wait until you see the new “This Is Your Brain on Drugs” ad we have cooking up.
Another really cool part of the cannabis industry is innovation. We just tried a “Keurig for Cannabis” machine. And, of course, boutique CBD cremes and artisanal THC sodas are the current trends – but cannabis is also helping veterans cope with PTSD. Industrial hemp is being used to build houses and power cars. That’s where it’s going. It’s fun. It’s modern. It’s the future.
Bm: What would be the ultimate partnership or association for a Cannabis brand? Which industry and/or brands, and why?
MS: Rihanna! She’s elegant, talented, and seems to have her hand in so many diverse projects – fashion, music, lingerie…and cannabis! (I have also asked her to marry me.) Ultimately, we want to partner with artists who are elevating the dialogue in their own way. I love seeing empowering collaborations, like the amazing work from the WNBA around the Black Lives Matter movement. Patagonia’s virtual film series supporting National Parks is perfectly on point.
Between two parts of the entry: calculated molecules >
____________
24
Properties=species:S:1:pos:R:3:mulliken_charge:R:1 method="wB97M-V/def2-TZVPD" mol_weight_g_mol=183.23 gap_ha="0.3022 / 0.3022" e_lumo_ev="0.42 / 0.42" relative_energy_kcal_mol=23.8 homo_energy_ev="-7.80 / -7.80"
C 2.53896 -1.55787 0.47708 -1.64
C -0.20884 2.33294 -0.61884 -1.24
C 1.40534 -1.16343 -0.53180 -0.13
C 0.00419 0.88436 -0.85758 -0.05
N -3.82838 -1.05894 0.64998 -0.52
N 1.00762 0.26322 -0.28471 -0.14
N -1.60676 0.31818 1.01479 -0.36
O -3.06810 0.59754 -0.99309 -0.73
O -1.64513 -1.49944 -0.64161 -0.66
O -2.13339 1.62074 1.06820 -0.47
S -2.46856 -0.43426 -0.10079 0.98
H 2.20694 -1.51137 1.44355 0.51
H 2.57750 -2.61778 0.41408 0.43
H 3.36484 -1.03349 0.15501 0.43
H 0.73083 2.80500 -0.34602 0.40
H -0.69641 2.83270 -1.52410 0.30
H -0.92944 2.34387 0.22330 0.41
H 1.69228 -1.24362 -1.57859 0.33
H 0.57976 -1.80223 -0.32548 0.23
H -0.52311 0.42266 -1.64697 0.69
H -4.32266 -1.75301 0.15725 0.27
H -3.55184 -1.35638 1.58219 0.28
H 1.45366 0.63809 0.49375 0.24
H -2.71116 1.65888 0.24759 0.42



9
Properties=species:S:1:pos:R:3:mulliken_charge:R:1 method="wB97M-V/def2-TZVPD" mol_weight_g_mol=93.02 gap_ha="0.2672 / 0.2781" e_lumo_ev="0.74 / -3.13" spin_multiplicity=3 relative_energy_kcal_mol=0.0 homo_energy_ev="-6.53 / -10.70"
C -0.53616 -0.57933 0.08381 -0.18
N -0.81351 0.80215 -0.25145 -0.53
O 3.07709 0.14408 -0.37178 -0.35
O 0.82583 -0.82371 -0.15237 -0.19
P 1.88397 0.29765 0.42966 0.24
H -0.76423 -0.81854 1.13266 0.28
H -1.07984 -1.27513 -0.56048 0.27
H -1.00103 1.35378 0.57690 0.23
H -1.59212 0.89904 -0.88694 0.23



65
Properties=species:S:1:pos:R:3:mulliken_charge:R:1 method="wB97M-V/def2-TZVPD" mol_weight_g_mol=710.57 gap_ha="0.2274 / 0.2313" e_lumo_ev="-8.39 / -8.28" spin_multiplicity=5 relative_energy_kcal_mol=13.6 homo_energy_ev="-14.57 / -14.57" total_charge=+3
Ho -0.12021 -0.16440 0.23801 0.50
N -0.52242 1.78793 8.31438 -0.42
C -0.44947 1.45692 7.02447 1.11
C -0.52680 0.10073 6.62070 -0.89
C -0.45947 -0.23560 5.30045 -0.41
C -0.29831 0.77692 4.33117 0.01
C -0.22185 2.13361 4.71687 -0.50
C -0.29183 2.46449 6.03579 -0.90
S -0.27380 0.38000 2.71411 2.13
O -0.02703 -1.05549 2.43144 -0.78
O 0.75458 1.14855 1.92880 -0.69
N -1.57584 0.56166 1.76077 -0.30
C -1.83623 1.80326 1.15724 0.58
N -1.55403 1.75607 -0.15814 -0.18
C -1.88570 2.84074 -0.88729 -0.14
C -2.44569 3.94251 -0.28606 -0.75
C -2.61285 3.89872 1.10100 -0.11
N -2.31636 2.82840 1.83167 -0.50
H -0.62339 1.09027 9.03182 0.22
H -0.46919 2.74762 8.61100 0.21
H -0.64262 -0.67222 7.36781 0.33
H -0.52049 -1.27318 5.00301 0.44
H -0.10864 2.91179 3.97396 0.41
H -0.22736 3.49939 6.34300 0.33
H -1.70891 2.79631 -1.95444 0.54
H -2.73140 4.81198 -0.85849 0.41
H -3.01352 4.75350 1.63343 0.47
N -3.61478 -6.55071 0.41309 -0.36
C -3.01564 -6.05011 -0.67701 -0.10
S -3.08328 -6.64842 -2.18590 -0.24
C -2.30357 -4.74922 -0.44902 0.63
C -2.92418 -3.66935 0.17038 -0.69
C -2.24344 -2.46812 0.25432 -0.14
N -1.00066 -2.30749 -0.23454 -0.15
C -0.39017 -3.37143 -0.79727 -0.32
C -1.00206 -4.59416 -0.92899 -0.75
____________
Our dream projects would be Stoned Symphony Nights at the Met, an interactive exhibit at MoMA. Or Star Gazing-n-Ganja with Neil deGrasse Tyson. Tell me that wouldn’t be mind-blowing! Big picture – the vision for Higher Ground is to be a mainstream lifestyle platform – airing our content on the networks and sites that reach the masses: Imagine The Tonight Show meets Good Morning America…just with a giant bong on the desk…